NYT 4:00*
# Data records, kept here for reference
********
Starting from DFT lattice parameters and positions (PBE+U), the powder XRD pattern of BaTh2MoO8 was computed for CuKα.
No peak broadening, texture or thermal motion is included.

Structural model:
abc: 5.2298 7.3464 5.2356
angles: 90.00 91.55 90.00
Fractional positions:
Ba 0.0000 0.0000 0.0000
Th 0.5000 0.2554 0.5000
Th 0.5000 0.7446 0.5000
Mo 0.0000 0.5000 0.0000
O 0.1883 0.3113 0.1858
O 0.1883 0.6887 0.1858
O 0.2691 0.5000 0.7291
O 0.3303 0.0000 0.6638
O 0.6697 0.0000 0.3362
O 0.7309 0.5000 0.2709
O 0.8117 0.3113 0.8142
O 0.8117 0.6887 0.8142

Peak list (10 most intense, 2θ = 10–80°, most intense first)
29.7°, I = 100.0; 23.7°, I = 52.7; 24.4°, I = 49.6; 45.6°, I = 38.0; 46.4°, I = 35.9; 34.2°, I = 22.9; 58.6°, I = 20.7; 56.1°, I = 19.7; 17.0°, I = 19.7; 34.3°, I = 14.2

=====

Entry 1:
Structure and simulated X-ray powder pattern of KTeIO9 (a structure optimized by DFT (PBE); copper Kα).
Kinematic intensities with the Lorentz-polarization factor, no thermal factor.

Principal peaks in the range 2θ = 10–90°, low angle first:
| d (Å) | Position (°2θ) | intensity |
| --- | --- | --- |
| 5.464 | 16.22 | 16 |
| 5.079 | 17.46 | 38 |
| 4.320 | 20.56 | 22 |
| 4.131 | 21.51 | 32 |
| 3.905 | 22.77 | 100 |
| 3.505 | 25.41 | 26 |
| 3.262 | 27.34 | 37 |
| 2.897 | 30.87 | 21 |
| 2.671 | 33.55 | 20 |
| 2.545 | 35.26 | 19 |
| 2.093 | 43.23 | 18 |
| 2.043 | 44.34 | 14 |

Crystal structure
Cell lengths 8.6416, 14.1050, 7.0104 Å; angles 90.00, 90.00, 90.00 degrees
Fractional positions:
K (0.2120, 0.0887, 0.0000)
K (0.2880, 0.5887, 0.5000)
K (0.7120, 0.4113, 0.0000)
K (0.7880, 0.9113, 0.5000)
Te (0.2152, 0.4148, 0.9805)
Te (0.2848, 0.9148, 0.4805)
Te (0.7152, 0.0852, 0.9805)
Te (0.7848, 0.5852, 0.4805)
I (0.1328, 0.2457, 0.5037)
I (0.3672, 0.7457, 0.0037)
I (0.6328, 0.2543, 0.5037)
I (0.8672, 0.7543, 0.0037)
O (0.0124, 0.3675, 0.9295)
O (0.0505, 0.1585, 0.6723)
O (0.0796, 0.1968, 0.2701)
O (0.0897, 0.9690, 0.5522)
O (0.1312, 0.5235, 0.8448)
O (0.1697, 0.6949, 0.0227)
O (0.1871, 0.4526, 0.2484)
O (0.2197, 0.8733, 0.2273)
O (0.2223, 0.8084, 0.6473)
O (0.2777, 0.3084, 0.1473)
O (0.2803, 0.3733, 0.7273)
O (0.3129, 0.9526, 0.7484)
O (0.3303, 0.1949, 0.5227)
O (0.3688, 0.0235, 0.3448)
O (0.4103, 0.4690, 0.0522)
O (0.4204, 0.6968, 0.7701)
O (0.4495, 0.6585, 0.1723)
O (0.4876, 0.8675, 0.4295)
O (0.5124, 0.1325, 0.9295)
O (0.5505, 0.3415, 0.6723)
O (0.5796, 0.3032, 0.2701)
O (0.5897, 0.5310, 0.5522)
O (0.6312, 0.9765, 0.8448)
O (0.6697, 0.8051, 0.0227)
O (0.6871, 0.0474, 0.2484)
O (0.7197, 0.6267, 0.2273)
O (0.7223, 0.6916, 0.6473)
O (0.7777, 0.1916, 0.1473)
O (0.7803, 0.1267, 0.7273)
O (0.8129, 0.5474, 0.7484)
O (0.8303, 0.3051, 0.5227)
O (0.8688, 0.4765, 0.3448)
O (0.9103, 0.0310, 0.0522)
O (0.9204, 0.8032, 0.7701)
O (0.9495, 0.8415, 0.1723)
O (0.9876, 0.6325, 0.4295)

=====

Entry 2:
Structure and simulated X-ray powder pattern of K4Ti4I12O (a structure optimized by DFT (PBE); copper Kα).
Kinematic intensities with the Lorentz-polarization factor, no thermal factor.
********
LAT 3:51*
Sun 3:23*
BEQ ???
*N.O.T.: Not Orange's Time!
[Updated 11:00 a.m. Monday]
Hey, everybody. PuzzleGirl here filling in for the ailing Orange, who has apparently been bitten by a little flu bug. I didn't ask for any more details than that. I'd just really rather not know. Like all of you, I hope she feels better soon, and in the meantime ... you're stuck with me.Tracey Snyder's New York Times crossword was an easy, breezy Monday solve with fun fill and a basic, well-executed theme that I didn't actually catch onto right away because I filled in the southwest corner with just the acrosses and never saw the reveal. So. It's about CHIPs. We're talking:
So, the puzzle says that [One of 100 in D.C.] is a SENator. I guess that would be the ideal. Are there a hundred there yet this term? I'm embarrassed to say I haven't kept up on the Minnesota situation. Hold on ... Nope, still battling it out in court. Stay classy, Norm!
Have I mentioned that I'm a huge Aerosmith fan? Love those guys! I've seen them in concert, like, ten times. Not entirely thrilled to see one of their lousiest songs in the puzzle though. "CRYIN'." Yep, it really does have the lyric "Love is sweet misery." Actually I'm pretty sure it's "Your love is sweet misery," which makes it even worse. Although not nearly as bad as "Pink when I turn out the light / Pink it's like red but not quite." So it's got that going for it.
The more I look at this puzzle, the more I like it. It's got some great S-words in SIEGE, SCOTSMEN, SNORE, and SPEED TRAP. And what's not to like about FLEECE, PRETTY BOY, and LEWD LECHES? Good stuff. Very smooth. Nice job, Tracey!And how much happier could I be whenever I see my girl Andrea Carla Michaels's name on a puzzle? None. None happier. Today she graces us with "The Last Hurrah" in the Sun puzzle. The ends of the theme answers give us the classic cheer: SIS BOOM BAH. Awesome theme answers too:
Best word in the puzzle isn't an answer, though, it's a clue: [Buzzkill]. I don't see that word enough. Also love seeing the two wraps — SARI and SARAN — sitting one atop the other. And I'm not saying there's a political thing going on here, but we do have the DEMS winning big in 2008, XED clued in relation to voting, and a reference to Tina Fey's portrayal of SARAH Palin. Also, I'm sure DODO, BLOWHARD, ARROGANCE, SNOOZE, and SMOKED don't mean anything. In a puzzle titled "The Last Hurrah." The day before Inauguration.
Updated:I'm going to call Jack McIntuff's L.A. Times puzzle "T 'n' T." Theme answers are phrases with two T-words. I was lulled into complacency with TRICK OR TREAT, TWIST-OFF TOPS, and TAKE ONE'S TIME. Then, wham! TRAIL OF TEARS. Pretty heavy entry for this particular set of answers. And I'm embarrassed to admit it, but the phrase always makes me think of this picture, which is symbolic of a serious issue in its own way, but isn't exactly [Native Americans' forced relocation].
I only had two missteps in this puzzle, entering soy, not MSG, for [Stir-fry flavor enhancer] and whiffs, not MISSES, for [Swings without hitting]. But that section worked itself out pretty easily with the crosses.
So, what is THE GAP known as now? Just Gap, it seems. But the company has helpfully set up a redirect for us old people who type in thegap.com when looking for their website. What are us old people doing shopping at the Gap anyway?
Today's Brendan Emmett Quigley puzzle is, well, I'm not sure exactly what to say. I'm waffling between hilarious and just plain mean. See for yourselves.
January 18, 2009
Monday, 1/19
Posted by
10:35 PM
Labels: Andrea Carla Michaels, Brendan Emmett Quigley, Jack McInturff, Tracey Snyder